HS girl donates savings for the needy
The Headmistress of Serampore Girls High School Dr Sarkar said, “The rotary club has started an Interact Club in the school for the students.
Savings are a vital way for the poor to weather financial shocks and capture incomegenerating opportunities. Nest eggs increase the capability of the poor to manage cash flow, address the problems of uneven income, reduce the impact of the lean season and become more resilient
There’s an old saying about poverty: Give a man a fish, and you feed him for a day; show him how to catch fish, and you feed him for a lifetime. However, in today’s context, one of the most effective tools to fight poverty is not a fishing rod, but a savings account. Over four decades ago the most popular retail banking product was the Pigmy Deposit or the Daily Deposit Scheme. Housewives would scrape together a few rupees daily to give to a savings collector who would visit their homes. The money was deposited in a bank account that paid interest and was insulated from the daily demands of life. The depositors squirrelled away a decent sum by the end of a year. Most of the time it was enough to buy a much-desired home appliance. The simple message was, saving money, even if it was only a few rupees at a time, was a sure way to build wealth.
Later, a very innovative idea ~ microcredit ~ was born out of a radical concept: Poor people, when lent small amounts of cash, pay it back in a timely manner. In the meantime, that money could be put to use in ways that would help boost income and ostensibly, raise a family’s standard of living. The world soon witnessed a great global rush, with banks pouring billions into microcredit to help the poor. It was a powerful revolution, but it bypassed the centuries-old idea of wealth creation: Savings, the most trusted and the oldest building block of financial management for all societies.
As impoverished borrowers defaulted on debts at alarming rates and often with fatal consequences, many organisations questioned the power of credit. This led to soul-searching by the industry and the rediscovery of a new radical idea, specifically the realisation that what the people really need ~ more urgently than business loans ~ was a safe place to save their money. This is what development expert Robert Vogel once famously called the “forgotten half of rural finance.” It is now universally acknowledged that the most fundamental instrument of personal finance is the piggy bank.
The tide is now turning, sparked in part by microcredit’s discredit. We all now know that there may be families who have the intelligence to benefit from loans, but there may be many who can be ruined. When they miss loan payments because a lingering illness keeps them away from their business, they get into a regular default cycle. This soon leads to acute indebtedness and makes life stressful for the entire family.
On the contrary, every family in the world can benefit from the habit of stashing small amounts of cash away. Given the variability of their income, the poor are vulnerable to sickness, death and natural calamities, which can be a drain on finances and may even prevent families from hanging on to accumulated assets, including productive ones.
These shocks can quickly sink families into financial mire. As a result, the poor lead precarious, anxiety-ridden lives with the risks looming much larger than opportunities. The benefits of microcredit are often extolled, but debt remains debt; it always increases the risk and borrowers are sometimes overstretched. Savings can help people manage such risks conveniently, with a smaller monetary burden. And savings do matter, especially to women.
Credit can be both an opportunity and a risk for low income families. Though it is necessary to open the doors of self-reliance, this can also be a barrier. You can dig yourself into a fair amount of debt, and that prevents you from moving up financially. It may become a deepening hole. Loans can be malignant. Some people just cannot handle debts. Certain business enterprises are too risky. And there is always the temptation to take these costly loans and scrimp on the necessities of life.
# Quantum chemistry results, as found in the file
1.
Molecular formula: C6H11NO
Method: DFT, ωB97M-V/def2-TZVPD

```
19
Properties=species:S:1:pos:R:3
C -2.144 0.463 0.151
C 0.437 0.085 -0.114
C -3.238 0.112 -0.850
C 2.515 1.373 0.600
C 0.172 -2.101 0.760
C 1.516 1.094 -0.549
N -0.880 0.154 -0.160
O 1.033 -1.030 0.559
H -3.927 -0.624 -0.303
H -2.930 -0.411 -1.759
H -3.917 1.044 -1.138
H 3.477 1.765 0.048
H 2.853 0.417 1.045
H 2.224 2.084 1.387
H 0.716 -2.817 1.403
H -0.064 -2.511 -0.194
H -0.820 -1.740 1.295
H 2.062 0.594 -1.394
H 0.914 2.051 -0.786
```

Computed properties:
Highest occupied orbital energy   -7.527 eV
F_max   0.064 Eh/bohr
ΔE to the lowest compared entry with this formula, charge and spin   424.59 kJ/mol
HOMO-LUMO gap   8.3943 eV
E_LUMO   0.868 eV

These are the Löwdin partial charges, in e, on atoms 1 to 5:
1. C -0.088
2. C -0.272
3. C -0.174
4. C -0.114
5. C -0.116

=====

2.
Molecular formula: C64H145OP4
Method: DFT, ωB97M-V/def2-TZVPD

```
214
Properties=species:S:1:pos:R:3
O -22.800 7.752 11.696
H -21.920 7.374 11.503
C -24.975 12.056 13.909
C -25.864 11.159 14.750
C -26.312 9.786 14.249
C -25.490 8.929 13.270
P -25.779 7.148 13.383
C -24.510 6.391 14.321
C -24.246 7.307 15.545
C -22.932 6.855 16.270
C -22.652 7.544 17.638
C -25.809 6.212 11.676
C -25.900 4.616 11.832
C -25.489 3.733 10.575
C -25.396 2.184 10.712
C -27.279 6.713 14.226
C -28.514 7.320 13.563
C -29.819 6.654 13.978
C -30.858 6.608 12.806
H -23.919 11.863 14.095
H -25.125 13.119 14.096
H -25.253 11.911 12.864
H -26.779 11.709 14.971
H -25.312 10.961 15.670
H -27.162 10.028 13.611
H -26.588 9.303 15.186
H -24.417 9.126 13.266
H -25.732 9.287 12.269
H -23.596 6.503 13.738
H -24.703 5.346 14.568
H -24.995 7.341 16.335
H -23.978 8.304 15.195
H -22.061 7.051 15.645
H -22.996 5.795 16.516
H -23.592 8.000 17.948
H -21.880 8.299 17.490
H -22.399 6.822 18.415
H -24.865 6.377 11.157
H -26.490 6.708 10.985
H -26.962 4.462 12.023
H -25.359 4.079 12.611
H -24.550 4.103 10.164
H -26.156 3.964 9.745
H -24.808 1.969 11.605
H -24.808 1.706 9.929
H -26.390 1.738 10.719
H -27.454 6.712 15.302
H -27.382 5.645 14.032
H -28.439 7.193 12.483
H -28.781 8.369 13.688
H -30.279 7.083 14.869
H -29.630 5.593 14.145
H -30.955 7.578 12.319
H -31.785 6.109 13.089
H -30.469 5.982 12.002
C -16.640 11.235 10.193
C -17.820 10.714 9.321
C -19.167 10.717 10.118
C -19.326 9.676 11.289
P -20.264 10.308 12.753
C -20.463 9.042 13.938
C -19.039 8.380 14.174
C -18.853 6.933 13.647
C -17.352 6.517 13.487
C -19.366 11.753 13.472
C -20.194 12.708 14.350
C -20.310 12.128 15.780
C -20.198 13.217 16.819
C -21.813 10.900 11.936
C -21.967 12.398 11.599
C -22.413 12.649 10.095
C -22.755 14.074 9.869
H -16.511 10.760 11.165
H -16.757 12.275 10.499
H -15.687 11.210 9.663
H -17.705 9.703 8.928
H -17.802 11.402 8.476
H -19.971 10.647 9.385
H -19.282 11.724 10.519
H -18.345 9.321 11.604
H -19.852 8.772 10.984
H -21.275 8.374 13.651
H -20.746 9.495 14.888
H -18.877 8.365 15.252
H -18.211 8.983 13.801
H -19.301 6.815 12.660
H -19.389 6.236 14.290
# End of the quantum chemistry results
However, in contrast, savings are a vital way for the poor to weather financial shocks and capture income-generating opportunities. Nest eggs increase the capability of the poor to manage cash flow, address the problems of uneven income, reduce the impact of the lean season, become more resilient in the face of shocks, build assets or invest in a family business and, most importantly, become empowered to improve one’s status within the households and communities.
Savings involve little risk and not much expertise in financial management. Even in traditional societies, no matter how oppressed women are or the level of their literacy, they are often stewards of the family’s savings. Sadly, most people do not put aside enough money. That is because humans suffer from economic myopia: The failure to give adequate weight to future benefits over immediate pleasures.
This is because, the self-discipline required to save is greater and the consequences of failure are worse. The instinct for gratification of immediate pleasures overrides the urge to put money away in a savings account for a rainy day. This is particularly true of men. The key to effective financial inclusion is a safe and confidential savings account for every woman. The older ones always advise the younger women to keep a store of value that other family members do not know about. When there is an emergency, they will understand your wisdom and appreciate you. The poor require little compulsion to save. They simply want a reasonable mechanism to do so and the assurance that they will be able to access the nest egg as per their needs.
Households normally put away money to have an insurance against emergencies, for religious and social obligations, for investment, for the higher education of their children and for future consumption. Savings have been the mainstay of the impoverished across the country, in particular villagers, who cope with a veritably Biblical range of hazards. Nature delivers snakes, scorpions, malaria, dengue, drought, floods, hurricanes, tuberculosis and pests that ravage crops and animals. Then there are the environmental and vocational risks arising out of changes in market climates. Families are normally financially prepared for education and marriages, but health emergencies are usually a nasty surprise.
A safe and smart savings account can transform the lives of people. Accumulation of money also serves as a form of self insurance and enhances the sense of well-being. They are a gateway to self-employment and job creation. Lower-income families can convert savings into home purchases, education and micro-enterprise. Despite conventional wisdom, the underprivileged actually do save, even if it is just a few rupees each day.
The importance of savings for the poor is also demonstrated by the many ingenious (but often costly) ways they find to put money aside. They use a variety of informal mechanisms like hiding cash at home, loaning funds to relatives, participating in rotating savings groups with their neighbours, engaging deposit collectors and so on. However, for a variety of reasons, most such mechanisms fail to meet the needs of the poor in a convenient, cost-effective and secure manner.
**Quantum chemistry results, as found in the file:**
********
A molecular structure, C29H29CoN3O4S3Se4 at a distorted geometry. Source: OMol25; level of theory: the ωB97M-V functional and the def2-TZVPD basis.

Geometry as ORCA input:
```
! wB97M-V def2-TZVPD RIJCOSX def2/J DEFGRID3
* xyz -1 5
Co 0.30 0.28 0.23
C 2.84 -3.94 -4.47
C 3.33 -2.56 -4.00
C 2.41 -1.49 -4.59
C 4.75 -2.31 -4.54
C 3.35 -2.53 -2.48
C 4.19 -3.42 -1.79
C 4.24 -3.48 -0.42
C 3.43 -2.62 0.31
S 3.24 -2.44 2.03
C 2.06 -1.20 1.76
N 1.84 -0.93 0.49
C 2.58 -1.72 -0.35
C 2.54 -1.68 -1.75
C 1.28 -0.50 2.74
C 1.50 -0.57 4.11
C 0.69 0.18 4.96
C -0.31 0.97 4.42
C -0.53 1.01 3.04
C 0.26 0.29 2.16
H 2.69 -3.94 -5.55
H 1.89 -4.18 -3.99
H 3.56 -4.72 -4.22
H 2.48 -1.51 -5.68
H 2.69 -0.49 -4.26
H 1.37 -1.65 -4.31
H 4.75 -2.35 -5.63
H 5.46 -3.06 -4.18
H 5.12 -1.33 -4.24
H 4.82 -4.09 -2.36
H 4.91 -4.18 0.08
H 1.87 -0.98 -2.22
H 2.30 -1.18 4.51
H 0.86 0.16 6.02
H -0.91 1.60 5.06
H -1.30 1.68 2.67
Se -1.37 1.83 -0.14
Se -3.05 3.09 -3.11
Se -1.08 2.45 -3.88
Se -0.02 0.81 -2.58
O -1.56 4.18 4.53
S -0.81 5.12 3.74
O -0.11 6.16 4.45
N 0.19 4.32 2.71
C -0.12 4.48 1.48
S 0.60 3.68 0.15
C -1.33 5.36 1.26
C -1.95 5.69 0.06
C -3.08 6.48 0.12
C -3.58 6.94 1.33
C -2.97 6.60 2.54
C -1.85 5.81 2.46
H -1.56 5.31 -0.87
H -3.59 6.75 -0.80
H -4.47 7.56 1.34
H -3.35 6.94 3.49
O -0.23 -3.03 1.07
C -1.03 -2.31 0.56
O -0.79 -1.66 -0.60
C -2.42 -2.02 1.14
N -3.21 -1.26 0.17
C -4.44 -1.99 -0.15
C -4.08 -3.44 0.15
C -3.21 -3.31 1.40
H -2.23 -1.46 2.06
H -1.65 -1.21 -0.83
H -3.35 -0.29 0.42
H -4.73 -1.82 -1.19
H -5.28 -1.67 0.49
H -3.51 -3.86 -0.68
H -4.96 -4.07 0.30
H -2.55 -4.15 1.57
H -3.84 -3.18 2.28
*
```

Values from the calculation:
Expectation value of S²: 6.0499
E: -13770.87952 Eh
Energy above the lowest of the compared OMol25 structures with the same formula, charge and spin: 51.63 kcal per mole
LUMO (spin up / spin down): 0.080 / 0.032 Ha
M: 954.542 g/mol

Mulliken atomic charge list, values in e, 2 entries: number 1, Co, carries -0.66; number 2, C, carries -1.67

A molecular structure, C29H29CoN3O5S. Source: OMol25; level of theory: the ωB97M-V functional and the def2-TZVPD basis.

Geometry as ORCA input:
```
! wB97M-V def2-TZVPD RIJCOSX def2/J DEFGRID3
* xyz 1 1
Co -0.23 -0.51 0.33
C 0.61 0.93 4.40
C 0.38 1.07 2.93
C 0.32 2.45 2.36
O 0.22 0.06 2.25
H 1.48 1.51 4.71
H 0.73 -0.11 4.67
H -0.25 1.35 4.92
H -0.59 2.92 2.74
H 0.29 2.43 1.28
H 1.16 3.04 2.72
N -1.35 -5.60 -4.67
C -1.21 -4.74 -3.91
C -1.03 -3.67 -2.97
C -1.74 -3.68 -1.77
C -1.54 -2.66 -0.85
C -0.65 -1.63 -1.12
C 0.06 -1.63 -2.32
C -0.14 -2.64 -3.25
H -2.43 -4.49 -1.56
H -2.10 -2.71 0.08
H 0.78 -0.86 -2.54
H 0.40 -2.64 -4.18
O 1.02 1.83 -4.40
C 1.86 1.87 -3.36
C 3.22 2.05 -3.62
C 4.12 2.10 -2.59
C 3.70 1.98 -1.26
C 2.37 1.78 -1.00
C 1.42 1.71 -2.03
C -0.01 1.47 -1.75
O -0.87 1.60 -2.62
O -0.35 1.14 -0.52
H 0.10 1.76 -4.04
H 3.53 2.15 -4.65
H 5.17 2.26 -2.81
H 4.42 2.04 -0.45
H 2.02 1.68 0.02
O 1.57 -1.13 0.12
S 2.69 -1.56 1.07
C 4.14 -1.29 0.08
C 4.08 -1.40 -1.30
C 5.24 -1.17 -2.02
C 6.42 -0.84 -1.37
********
As a consequence, when poor households are provided a safe, easily accessible opportunity to save, their commitment to saving, and the amounts they manage to put aside, are remarkable.
The fact remains that institutions that promote credit, to the exclusion of savings, place poor clients in bondage. To finance a child’s primary school education, clients must take on debt because they are not in a position to save. To deal with a health emergency or family food shortage, to finance weddings, funerals or social ceremonies, they must keep borrowing, again and again. To acquire essential gadgets, they will need to borrow at prohibitive rates of interest that keep them on the debt treadmill since there is no other option. Financial institutions ought to realise that they owe poor people a safe, flexible entity to save. With credit alone, they cannot free them from the tangled web of poverty. Putting money away is a vital prerequisite for the emancipation from poverty. We must think beyond the standard microcredit model.
One of the lessons imbibed during the current pandemic is that there is no substitute for savings, given the fact that most of the people, in rural and urban India, too are surviving on savings during this crisis. Thankfully, this wisdom is now particularly influencing young people. Earlier the refrain was “young people don’t save enough.” It represented the conventional wisdom about our millennials. This is now changing. This cohort of young people is putting away more funds, though for short-term goals. Millennials now have a savings discipline that the preceding generations lacked. It is heartening to see people realising the wisdom of putting some cash aside. Stuart Rutherford put it pithily long ago: “The choice to save rather than to consume is the foundation of money management.”
The writer is the author of Village Diary of a Heretic Banker. He can be reached at moinqazi123@gmail.com